........
Pt4O: relaxed, PBE.

Cell lengths 4.2301, 4.2301, 4.2301 Å; angles 90.00, 90.00, 90.00 degrees
Atoms (fractional coordinates):
Pt 0.0000 0.0000 0.0000
Pt 0.0000 0.5000 0.5000
Pt 0.5000 0.0000 0.5000
Pt 0.5000 0.5000 0.0000
O 0.5000 0.5000 0.5000

Summary:
* formation energy from raw total energies: 0.60 eV/atom
* calculated density: 17.5 Mg/m³
* calculated volume: 76 Å³ per cell
* M_tot: 0.000 μB per atom
* space-group type: Pm-3m
* D(E_F): 9.49 states/eV/f.u.
* VASP energy: -26.1 eV/cell

NaTaNb2Re: relaxed, PBE.

Cell lengths 4.9769, 4.9769, 4.8298 Å; angles 90.00, 90.00, 90.00 degrees
Atoms (fractional coordinates):
Na 0.0000 0.0000 0.0000
Ta 0.5000 0.5000 0.5000
Nb 0.0000 0.5000 0.5000
Nb 0.5000 0.0000 0.5000
Re 0.5000 0.5000 0.0000

Summary:
* calculated density: 8.0 Mg/m³
* calculated volume: 120 Å³ per cell
* formation energy from the elements: 1.600 eV per atom
* M_tot: 0.057 μB per atom
* space-group type: P4/mmm
* D(E_F): 4.23 states/eV/f.u.
* VASP energy: -37.8 eV/cell

MgCo2Ag: relaxed, PBE.

Cell lengths 4.9529, 4.9529, 4.9529 Å; angles 138.67, 133.82, 63.68 degrees
Atoms (fractional coordinates):
Mg 0.0000 0.0000 0.0000
Co 0.2496 0.7496 0.5000
Co 0.7504 0.2504 0.5000
Ag 0.5000 0.5000 0.0000

Summary:
* calculated density: 7.3 Mg/m³
* calculated volume: 57 Å³ per cell
* formation energy from the elements: 0.252 eV per atom
* M_tot: 0.772 μB per atom
* space-group type: Immm
* D(E_F): 4.55 states/eV/f.u.
* VASP energy: -17.7 eV/cell

CuRhBr2: relaxed, PBE.

Cell lengths 7.9377, 7.9377, 7.9377 Å; angles 155.19, 154.17, 36.11 degrees
Atoms (fractional coordinates):
Cu 0.0000 0.0000 0.0000
Rh 0.1340 0.6340 0.5000
Br 0.4401 0.4401 0.0000
Br 0.6866 0.1866 0.5000

Summary:
* formation energy from raw total energies: 0.18 eV/atom
* calculated density: 5.9 Mg/m³
* E above lowest polymorph: 191 meV/atom
* calculated volume: 91 Å³ per cell
* M_tot: 0.000 μB per atom
* space-group type: Imm2
* D(E_F): 3.48 states/eV/f.u.
* VASP energy: -14.1 eV/cell

SiPdNO2: relaxed, PBE.

Cell lengths 4.1118, 4.1118, 3.7081 Å; angles 90.00, 90.00, 90.00 degrees
Atoms (fractional coordinates):
Si 0.0000 0.0000 0.0000
Pd 0.5000 0.5000 0.5000
N 0.5000 0.5000 0.0000
O 0.0000 0.5000 0.5000
O 0.5000 0.0000 0.5000

Summary:
* formation energy from raw total energies: 0.76 eV/atom
* calculated density: 4.8 Mg/m³
* calculated volume: 63 Å³ per cell
* M_tot: 0.000 μB per atom
* space-group type: P4/mmm
* D(E_F): 3.55 states/eV/f.u.
* VASP energy: -25.0 eV/cell

=====

(1)
## Sr3Pm2ThTe6 (GGA-PBE)

Data for a relaxed Sr3Pm2ThTe6 crystal.

## Properties
D(E_F) = 0.58 states/eV/atom
Volume = 34.1 Å³ per atom
Magnetic moment = 0.00 μB/f.u.
SG = C2/m, No. 12
Formation energy without anion corrections = -1459.0 meV/atom

a = 4.516 Å, b = 9.310 Å, c = 10.346 Å
α = 105.15°, β = 102.60°, γ = 90.00°
Fractional coordinates of all 12 atoms:
Sr  0.500  0.500  0.000
Sr  0.833  0.170  0.666
Sr  0.167  0.830  0.334
Pm  0.836  0.674  0.672
Pm  0.164  0.326  0.328
Th  0.500  0.000  0.000
Te  0.335  0.914  0.670
Te  0.670  0.574  0.341
Te  0.665  0.086  0.330
Te  0.001  0.245  0.002
Te  0.999  0.755  0.998
Te  0.330  0.426  0.659

---

(2)
## SrPm2Tl3Te6 (GGA-PBE)

Data for a relaxed SrPm2Tl3Te6 crystal.

## Properties
D(E_F) = 0.55 states/eV/atom
Volume = 36.9 Å³ per atom
Magnetic moment = 0.00 μB/f.u.
SG = C2/m, No. 12
Formation energy without anion corrections = -1010.8 meV/atom

a = 7.996 Å, b = 7.996 Å, c = 8.418 Å
α = 99.13°, β = 99.13°, γ = 119.94°
Fractional coordinates of all 12 atoms:
Sr  0.000  0.000  0.000
Pm  0.332  0.668  0.000
Pm  0.668  0.332  0.000
Tl  0.163  0.837  0.500
Tl  0.837  0.163  0.500
Tl  0.500  0.500  0.500
Te  0.923  0.576  0.773
Te  0.725  0.725  0.222
Te  0.077  0.424  0.227
Te  0.576  0.923  0.773
Te  0.275  0.275  0.778
Te  0.424  0.077  0.227

---

(3)
## Sr3PmTm3Te8 (GGA-PBE)

Data for a relaxed Sr3PmTm3Te8 crystal.

## Properties
D(E_F) = 0.35 states/eV/atom
Volume = 34.2 Å³ per atom
Magnetic moment = 0.00 μB/f.u.
........
The reader should start at the top of the notes earlier on and duplicate each line, ending with the one that has "NaTaNb2Re: relaxed,".
Pt4O: relaxed, PBE.

Cell lengths 4.2301, 4.2301, 4.2301 Å; angles 90.00, 90.00, 90.00 degrees
Atoms (fractional coordinates):
Pt 0.0000 0.0000 0.0000
Pt 0.0000 0.5000 0.5000
Pt 0.5000 0.0000 0.5000
Pt 0.5000 0.5000 0.0000
O 0.5000 0.5000 0.5000

Summary:
* formation energy from raw total energies: 0.60 eV/atom
* calculated density: 17.5 Mg/m³
* calculated volume: 76 Å³ per cell
* M_tot: 0.000 μB per atom
* space-group type: Pm-3m
* D(E_F): 9.49 states/eV/f.u.
* VASP energy: -26.1 eV/cell

NaTaNb2Re: relaxed, PBE.